### To do
Next, echo the rows below with every line break kept.

### Input
┌──
Below is an optimized crystal structure of K3Tm2PbS6, with properties calculated at the PBE-GGA level.

Structure (POSCAR):
```
K3Tm2PbS6
1.0
3.516 -6.089 0.000
3.516 6.089 0.000
-2.344 0.000 7.376
K Tm Pb S
3 2 1 6
direct
0.000 0.000 0.000 K
0.337 0.663 0.000 K
0.663 0.337 0.000 K
0.167 0.833 0.500 Tm
0.833 0.167 0.500 Tm
0.500 0.500 0.500 Pb
0.084 0.432 0.297 S
0.219 0.219 0.702 S
0.432 0.084 0.297 S
0.568 0.916 0.703 S
0.781 0.781 0.298 S
0.916 0.568 0.703 S
```

Values from the calculation:
magnetization: 0.0 μB/f.u.
N(E_F): 4.4 states/eV/f.u.
formation energy from raw total energies: -141 kJ/mol of atoms


# Nd6NiSn2 | Alexandria via LeMat-Bulk | PBE | optimized geometry
data_Nd6NiSn2
_chemical_formula_sum 'Nd6 Ni1 Sn2'
_cell_length_a 4.2467
_cell_length_b 8.5169
_cell_length_c 8.5170
_cell_angle_alpha 120.00
_cell_angle_beta 90.00
_cell_angle_gamma 90.00
_symmetry_space_group_name_H-M 'P 1'
_symmetry_Int_Tables_number 1
_symmetry_space_group_name_Hall 'P 1'
loop_
_atom_site_label
_atom_site_type_symbol
_atom_site_fract_x
_atom_site_fract_y
_atom_site_fract_z
_atom_site_occupancy
Ni1 Ni 0.5000 0.0001 0.0000 1
Sn1 Sn 0.0000 0.3333 0.6667 1
Sn2 Sn 0.0000 0.6667 0.3333 1
Nd1 Nd 0.5000 0.5861 0.0000 1
Nd2 Nd 0.0000 0.0000 0.2367 1
Nd3 Nd 0.5000 0.4139 0.4139 1
Nd4 Nd 0.5000 0.0000 0.5861 1
Nd5 Nd 0.0000 0.7633 0.7633 1
Nd6 Nd 0.0000 0.2367 0.0000 1
# Formation enthalpy at 0 K in eV per atom: -0.443
# Space-group type: No. 189
# E_tot in eV/atom: -5.15
# D(E_F) in states/eV/atom: 1.188


PBE La2NF2, relaxed; energy above the most stable polymorph in this dataset = 0.00 eV per formula unit; raw formation energy = -2.768 eV/atom
1.0
3.8069 0.0000 0.0000
-1.9035 3.2969 0.0000
0.0000 0.0000 6.9200
La N F
2 1 2
Direct
0.3333 0.6667 0.2930
0.6667 0.3333 0.7070
0.0000 0.0000 0.5000
0.3333 0.6667 0.8853
0.6667 0.3333 0.1147

PBE LaNF, relaxed; raw formation energy = -2.020 eV/atom
1.0
-1.6748 1.6748 7.6696
1.6748 -1.6748 7.6696
1.6748 1.6748 -7.6696
La N F
2 2 2
Direct
0.1237 0.1237 0.0000
0.8763 0.8763 0.0000
0.4537 0.4537 0.0000
0.5463 0.5463 0.0000
0.2894 0.2894 0.0000
0.7106 0.7106 0.0000

PBE LaNF3, relaxed; energy above the most stable polymorph in this dataset = 0.00 eV per formula unit; raw formation energy = -2.247 eV/atom
1.0
4.6916 0.0000 0.0000
0.0000 4.6916 0.0000
0.0000 0.0000 4.6916
La N F
1 1 3
Direct
0.0000 0.0000 0.0000
0.5000 0.5000 0.5000
0.0000 0.0000 0.5000
0.0000 0.5000 0.0000
0.5000 0.0000 0.0000

PBE La2NF, relaxed; raw formation energy = -2.015 eV/atom
1.0
1.8225 1.0522 6.5733
-1.8225 1.0522 6.5733
0.0000 -2.1044 6.5733
La N F
2 1 1
Direct
0.0000 0.0000 0.0000
0.1914 0.1914 0.1914
0.5964 0.5964 0.5964
0.4289 0.4289 0.4289

PBE LaNF3, relaxed; energy above the most stable polymorph in this dataset = 5.74 eV per formula unit; raw formation energy = -1.099 eV/atom
1.0
4.0733 0.0000 0.0000
0.0000 4.0733 0.0000
0.0000 0.0000 4.0733
La N F
1 1 3
Direct
0.0000 0.0000 0.0000
0.5000 0.5000 0.5000
0.0000 0.5000 0.5000
0.5000 0.0000 0.5000
0.5000 0.5000 0.0000

PBE La2NF2, relaxed; energy above the most stable polymorph in this dataset = 0.41 eV per formula unit; raw formation energy = -2.685 eV/atom
1.0
7.9502 0.0000 0.0000
0.0000 7.1706 0.0000
-0.0020 0.0000 6.6761
La N F
8 4 8
Direct
0.1188 0.1063 0.2994
0.1188 0.3937 0.7994
0.3606 0.5950 0.2461
0.3606 0.9050 0.7461
0.6394 0.0950 0.2539
0.6394 0.4050 0.7539
0.8812 0.6063 0.2006
0.8812 0.8937 0.7006
0.1299 0.0793 0.6540
0.1299 0.4207 0.1540
0.8701 0.5793 0.8460
0.8701 0.9207 0.3460
0.1894 0.6566 0.5630
0.1894 0.8434 0.0630
0.4376 0.1810 0.9439
0.4376 0.3190 0.4439
0.5624 0.6810 0.5561
0.5624 0.8190 0.0561
0.8106 0.1566 0.9370
0.8106 0.3434 0.4370

PBE La2NF, relaxed; raw formation energy = -1.898 eV/atom
1.0
-2.9202 2.9202 5.6651
2.9202 -2.9202 5.6651
2.9202 2.9202 -5.6651
La N F
4 2 2
Direct
0.0937 0.6250 0.9687
0.3750 0.3437 0.4687
0.6563 0.1250 0.0313
0.8750 0.9063 0.5313
0.0000 0.0000 0.0000
0.7500 0.2500 0.5000
0.2500 0.7500 0.5000
0.5000 0.5000 0.0000
└──

### Reply
Below is an optimized crystal structure of K3Tm2PbS6, with properties calculated at the PBE-GGA level.

Structure (POSCAR):
```
K3Tm2PbS6
1.0
3.516 -6.089 0.000
3.516 6.089 0.000
-2.344 0.000 7.376
K Tm Pb S
3 2 1 6
direct
0.000 0.000 0.000 K
0.337 0.663 0.000 K
0.663 0.337 0.000 K
0.167 0.833 0.500 Tm
0.833 0.167 0.500 Tm
0.500 0.500 0.500 Pb
0.084 0.432 0.297 S
0.219 0.219 0.702 S
0.432 0.084 0.297 S
0.568 0.916 0.703 S
0.781 0.781 0.298 S
0.916 0.568 0.703 S
```

Values from the calculation:
magnetization: 0.0 μB/f.u.
N(E_F): 4.4 states/eV/f.u.
formation energy from raw total energies: -141 kJ/mol of atoms


# Nd6NiSn2 | Alexandria via LeMat-Bulk | PBE | optimized geometry
data_Nd6NiSn2
_chemical_formula_sum 'Nd6 Ni1 Sn2'
_cell_length_a 4.2467
_cell_length_b 8.5169
_cell_length_c 8.5170
_cell_angle_alpha 120.00
_cell_angle_beta 90.00
_cell_angle_gamma 90.00
_symmetry_space_group_name_H-M 'P 1'
_symmetry_Int_Tables_number 1
_symmetry_space_group_name_Hall 'P 1'
loop_
_atom_site_label
_atom_site_type_symbol
_atom_site_fract_x
_atom_site_fract_y
_atom_site_fract_z
_atom_site_occupancy
Ni1 Ni 0.5000 0.0001 0.0000 1
Sn1 Sn 0.0000 0.3333 0.6667 1
Sn2 Sn 0.0000 0.6667 0.3333 1
Nd1 Nd 0.5000 0.5861 0.0000 1
Nd2 Nd 0.0000 0.0000 0.2367 1
Nd3 Nd 0.5000 0.4139 0.4139 1
Nd4 Nd 0.5000 0.0000 0.5861 1
Nd5 Nd 0.0000 0.7633 0.7633 1
Nd6 Nd 0.0000 0.2367 0.0000 1
# Formation enthalpy at 0 K in eV per atom: -0.443
# Space-group type: No. 189
# E_tot in eV/atom: -5.15
# D(E_F) in states/eV/atom: 1.188


PBE La2NF2, relaxed; energy above the most stable polymorph in this dataset = 0.00 eV per formula unit; raw formation energy = -2.768 eV/atom
1.0
3.8069 0.0000 0.0000
-1.9035 3.2969 0.0000
0.0000 0.0000 6.9200
La N F
2 1 2
Direct
0.3333 0.6667 0.2930
0.6667 0.3333 0.7070
0.0000 0.0000 0.5000
0.3333 0.6667 0.8853
0.6667 0.3333 0.1147

PBE LaNF, relaxed; raw formation energy = -2.020 eV/atom
1.0
-1.6748 1.6748 7.6696
1.6748 -1.6748 7.6696
1.6748 1.6748 -7.6696
La N F
2 2 2
Direct
0.1237 0.1237 0.0000
0.8763 0.8763 0.0000
0.4537 0.4537 0.0000
0.5463 0.5463 0.0000
0.2894 0.2894 0.0000
0.7106 0.7106 0.0000

PBE LaNF3, relaxed; energy above the most stable polymorph in this dataset = 0.00 eV per formula unit; raw formation energy = -2.247 eV/atom
1.0
4.6916 0.0000 0.0000
0.0000 4.6916 0.0000
0.0000 0.0000 4.6916
La N F
1 1 3
Direct
0.0000 0.0000 0.0000
0.5000 0.5000 0.5000
0.0000 0.0000 0.5000
0.0000 0.5000 0.0000
0.5000 0.0000 0.0000

PBE La2NF, relaxed; raw formation energy = -2.015 eV/atom
1.0
1.8225 1.0522 6.5733
-1.8225 1.0522 6.5733
0.0000 -2.1044 6.5733
La N F
2 1 1
Direct
0.0000 0.0000 0.0000
0.1914 0.1914 0.1914
0.5964 0.5964 0.5964
0.4289 0.4289 0.4289

PBE LaNF3, relaxed; energy above the most stable polymorph in this dataset = 5.74 eV per formula unit; raw formation energy = -1.099 eV/atom
1.0
4.0733 0.0000 0.0000
0.0000 4.0733 0.0000
0.0000 0.0000 4.0733
La N F
1 1 3
Direct
0.0000 0.0000 0.0000
0.5000 0.5000 0.5000
0.0000 0.5000 0.5000
0.5000 0.0000 0.5000
0.5000 0.5000 0.0000

PBE La2NF2, relaxed; energy above the most stable polymorph in this dataset = 0.41 eV per formula unit; raw formation energy = -2.685 eV/atom
1.0
7.9502 0.0000 0.0000
0.0000 7.1706 0.0000
-0.0020 0.0000 6.6761
La N F
8 4 8
Direct
0.1188 0.1063 0.2994
0.1188 0.3937 0.7994
0.3606 0.5950 0.2461
0.3606 0.9050 0.7461
0.6394 0.0950 0.2539
0.6394 0.4050 0.7539
0.8812 0.6063 0.2006
0.8812 0.8937 0.7006
0.1299 0.0793 0.6540
0.1299 0.4207 0.1540
0.8701 0.5793 0.8460
0.8701 0.9207 0.3460
0.1894 0.6566 0.5630
0.1894 0.8434 0.0630
0.4376 0.1810 0.9439
0.4376 0.3190 0.4439
0.5624 0.6810 0.5561
0.5624 0.8190 0.0561
0.8106 0.1566 0.9370
0.8106 0.3434 0.4370

PBE La2NF, relaxed; raw formation energy = -1.898 eV/atom
1.0
-2.9202 2.9202 5.6651
2.9202 -2.9202 5.6651
2.9202 2.9202 -5.6651
La N F
4 2 2
Direct
0.0937 0.6250 0.9687
0.3750 0.3437 0.4687
0.6563 0.1250 0.0313
0.8750 0.9063 0.5313
0.0000 0.0000 0.0000
0.7500 0.2500 0.5000
0.2500 0.7500 0.5000
0.5000 0.5000 0.0000